Christianity and organ donation
The Christian faith is based upon the revelation of God in the life of Jesus Christ. Jesus taught people to love one another, and to embrace the needs of others. Organ donation can be considered by Christians as a genuine act of love.
Christianity and organ donation leaflet PDF (in English) | (in Polish)
┌──
1.
An optimized crystal structure of SnO2. Source: Materials Project, functional PBE.

Space-group type: P3m1
Final energy in eV per atom: -6.0281
Total moment in μB per atom: 0.0110
Energy relative to the elements in eV/atom: -1.851

Cell and atoms, written as extended XYZ:
```
36
Lattice="6.449 0.000 0.000 -3.225 5.585 0.000 0.000 0.000 15.531" Properties=species:S:1:pos:R:3 pbc="T T T"
Sn 0.000 0.000 0.000
Sn 0.000 0.000 5.799
Sn 0.000 1.962 3.274
Sn -1.525 4.604 3.274
Sn 1.603 0.926 8.414
Sn 3.225 0.021 13.636
Sn 1.630 2.782 13.636
Sn 1.525 4.604 3.274
Sn 3.225 1.862 10.978
Sn 4.846 0.926 8.414
Sn 3.225 3.734 8.414
Sn 4.819 2.782 13.636
O 0.000 0.000 1.987
O 0.000 0.000 9.506
O -1.520 2.846 2.222
O 0.000 1.622 7.226
O -1.820 4.774 7.226
O 0.000 1.863 14.684
O -1.611 4.654 14.684
O 1.360 0.785 4.431
O 0.000 3.723 4.466
O 0.000 3.723 12.691
O 1.841 1.063 12.391
O 1.520 2.846 2.222
O 0.000 5.479 2.222
O 3.225 0.232 9.649
O 1.813 2.677 9.649
O 1.611 4.654 14.684
O 3.225 1.862 7.390
O 3.225 1.862 14.705
O 1.820 4.774 7.226
O 4.608 1.063 12.391
O 3.225 3.460 12.391
O 5.089 0.785 4.431
O 3.225 4.015 4.431
O 4.636 2.677 9.649
```

---

2.
An optimized crystal structure of Ho2Ni15B9. Source: Materials Project, functional PBE.

Space-group type: Cmce
Final energy in eV per atom: -6.4176
Total moment in μB per atom: 0.0000
Energy relative to the elements in eV/atom: -0.418

Cell and atoms, written as extended XYZ:
```
104
Lattice="7.926 -5.794 0.000 7.926 5.794 0.000 0.000 0.000 11.234" Properties=species:S:1:pos:R:3 pbc="T T T"
Ho 3.963 0.667 2.808
Ho 7.926 3.023 10.774
Ho 7.926 2.771 5.157
Ho 3.963 -0.667 8.425
Ho 11.890 0.667 2.808
Ho 7.926 -2.771 6.077
Ho 7.926 -3.023 0.460
Ho 11.890 -0.667 8.425
Ni 0.000 0.000 0.000
Ni 0.000 0.000 5.617
Ni 1.844 1.297 9.914
Ni 1.526 1.024 7.418
Ni 6.677 4.767 9.062
Ni 6.234 4.224 6.711
Ni 5.233 3.217 10.273
Ni 3.963 2.106 8.425
Ni 5.233 2.577 4.656
Ni 3.749 1.171 5.952
Ni 4.177 1.171 10.898
Ni 9.176 4.767 9.062
Ni 1.526 -1.024 3.816
Ni 1.844 -1.297 1.320
Ni 7.926 3.069 2.378
Ni 9.619 4.224 6.711
Ni 6.234 1.570 1.095
Ni 7.926 2.725 7.995
Ni 6.082 1.297 6.937
Ni 6.401 1.024 9.433
Ni 6.677 1.026 3.446
Ni 3.749 -1.171 5.281
Ni 4.177 -1.171 0.335
Ni 10.620 3.217 10.273
Ni 3.963 -2.106 2.808
Ni 10.620 2.577 4.656
Ni 9.619 1.570 1.095
Ni 9.176 1.026 3.446
Ni 6.401 -1.024 1.801
Ni 6.082 -1.297 4.297
Ni 7.926 0.000 0.000
Ni 7.926 0.000 5.617
Ni 9.770 1.297 6.937
Ni 9.452 1.024 9.433
Ni 6.677 -1.026 7.788
Ni 6.234 -1.570 10.139
Ni 5.233 -2.577 6.578
Ni 11.890 2.106 8.425
Ni 5.233 -3.217 0.961
Ni 11.676 1.171 10.898
Ni 12.104 1.171 5.952
Ni 9.176 -1.026 7.788
Ni 9.452 -1.024 1.801
Ni 9.770 -1.297 4.297
Ni 7.926 -2.725 3.239
Ni 9.619 -1.570 10.139
Ni 6.234 -4.224 4.522
Ni 7.926 -3.069 8.855
Ni 14.009 1.297 9.914
Ni 14.327 1.024 7.418
Ni 6.677 -4.767 2.171
Ni 11.676 -1.171 0.335
Ni 12.104 -1.171 5.281
Ni 10.620 -2.577 6.578
Ni 11.890 -2.106 2.808
Ni 10.620 -3.217 0.961
Ni 9.619 -4.224 4.522
Ni 9.176 -4.767 2.171
└──
Back to the text.
Choosing to donate our organs can save the lives of many people.
Thousands of people in the UK today are waiting for an organ transplant that could save or dramatically improve their lives. The simple act of joining the donors’ register can help make the world of difference to those in need. I hope that everyone will consider whether they can give life to others after their own death.
The Methodist Church has consistently supported organ donation and transplantation in appropriate circumstances, as a means through which healing and health may be made possible.
Identifying specific faith groups and their beliefs and practice around organ donation provides a basis for discussion. We then need to share information on what faith groups believe in order to foster better understanding of cultural norms. Disseminating more widely information on the cultural risk factors for kidney disease keeps people informed, assists in breaking barriers and engendering hope as people make better health choices which will positively impact their life.
Christians believe in eternal life and preparing for death should not be a source of fear. Nothing that happens to our body, before or after death, can impact on our relationship with God:
Neither death nor life, not anything else in all creation, will be able to separate us from the love of God that is in Jesus Christ our Lord.
To donate your organs is a very personal choice.
The process of transplantation is acceptable in terms of moral Christian law. The Catechism of the Catholic Church 2296, explains:
...organ transplants are in conformity with the moral law if the physical and psychological dangers and risks to the donor are proportionate to the good sought for the recipient. Organ donation after death is a noble and meritorious act and is to be encouraged as an expression of generous solidarity.
It is not morally acceptable if the donor or his proxy has not given explicit consent. Moreover, it is not morally admissible to bring about the disabling mutilation or death of a human being, even in order to delay the death of other persons.
== Next to the text, the page also holds calculated crystals ==
+++
SmCO4 | Materials Project | PBE | relaxed; symmetry = P-6; formation energy = -2.52 eV per atom
1.0
12.376 0.000 0.000
-6.188 10.718 0.000
0.000 0.000 9.822
Sm C O
18 18 72
Cartesian
-2.113 5.877 2.357 Sm
-2.113 5.877 7.465 Sm
-0.041 2.453 2.522 Sm
-0.041 2.453 7.300 Sm
-4.043 9.527 2.522 Sm
-4.043 9.527 7.300 Sm
4.016 2.407 2.518 Sm
4.016 2.407 7.304 Sm
-0.042 9.610 2.357 Sm
-0.042 9.610 7.465 Sm
2.155 5.950 2.357 Sm
2.155 5.950 7.465 Sm
4.084 9.456 2.522 Sm
4.084 9.456 7.300 Sm
8.284 2.274 2.518 Sm
8.284 2.274 7.304 Sm
6.265 6.037 2.518 Sm
6.265 6.037 7.304 Sm
-0.989 4.981 4.911 C
1.335 1.892 0.000 C
1.811 1.233 4.911 C
-0.133 4.970 0.000 C
-1.817 8.348 0.000 C
-1.380 9.084 4.911 C
3.908 3.884 0.000 C
2.369 7.371 4.911 C
1.950 8.118 0.000 C
4.254 4.604 4.911 C
6.262 1.383 4.911 C
7.059 1.442 0.000 C
10.070 0.210 0.000 C
7.598 5.392 0.000 C
8.048 4.732 4.911 C
10.403 0.952 4.911 C
6.350 8.533 4.911 C
7.159 8.616 0.000 C
0.000 0.000 2.421 O
0.000 0.000 7.401 O
-4.011 7.175 3.030 O
-4.011 7.175 6.792 O
-4.948 9.244 4.911 O
-4.522 9.718 0.000 O
0.033 1.943 0.000 O
0.656 1.811 4.911 O
-1.661 6.090 4.911 O
-0.679 4.445 3.782 O
-0.679 4.445 6.040 O
-1.247 5.635 0.000 O
-2.363 8.043 1.132 O
-2.363 8.043 8.690 O
2.384 0.950 3.785 O
2.384 0.950 6.037 O
1.943 1.884 1.137 O
1.943 1.884 8.685 O
0.404 4.650 1.132 O
0.404 4.650 8.690 O
-1.999 9.083 3.782 O
-1.999 9.083 6.040 O
1.980 3.658 3.030 O
1.980 3.658 6.792 O
0.000 7.145 2.538 O
0.000 7.145 7.284 O
4.089 0.098 1.902 O
4.089 0.098 7.920 O
-0.685 8.980 0.000 O
-0.083 9.112 4.911 O
1.744 6.234 4.911 O
1.931 6.821 0.000 O
4.511 2.738 0.000 O
4.202 3.306 4.911 O
3.600 4.419 1.131 O
3.600 4.419 8.691 O
5.705 1.091 3.780 O
5.705 1.091 6.042 O
1.959 8.743 1.132 O
1.959 8.743 8.690 O
2.678 7.908 3.782 O
2.678 7.908 6.040 O
6.749 0.908 1.131 O
6.749 0.908 8.691 O
4.280 5.232 3.780 O
4.280 5.232 6.042 O
2.031 10.604 3.030 O
2.031 10.604 6.792 O
6.188 3.573 2.393 O
6.188 3.573 7.429 O
4.228 7.128 1.902 O
4.228 7.128 7.920 O
7.412 1.986 4.911 O
7.750 2.537 0.000 O
6.304 5.443 0.000 O
6.950 5.426 4.911 O
4.489 9.775 0.000 O
9.774 0.741 1.137 O
9.774 0.741 8.685 O
4.291 10.381 4.911 O
5.818 8.179 3.785 O
5.818 8.179 6.037 O
8.579 4.396 3.780 O
8.579 4.396 6.042 O
10.362 1.590 3.785 O
10.362 1.590 6.037 O
8.215 5.391 1.131 O
8.215 5.391 8.691 O
6.848 8.094 1.137 O
6.848 8.094 8.685 O
10.247 3.492 1.902 O
10.247 3.492 7.920 O

=====

Nd4Sc3Fe25B2 | Materials Project | PBE | relaxed; symmetry = Cmm2; formation energy = -0.08 eV per atom
1.0
6.283 -6.306 0.000
6.283 6.306 0.000
0.000 0.000 12.247
Nd Sc Fe B
8 6 50 4
Cartesian
6.283 4.498 0.000 Nd
6.283 3.340 6.288 Nd
3.303 0.000 0.080 Nd
4.481 0.000 6.229 Nd
8.086 0.000 6.229 Nd
9.264 0.000 0.080 Nd
6.283 -3.340 6.288 Nd
6.283 -4.498 0.000 Nd
6.283 4.009 3.198 Sc
3.982 0.000 9.329 Sc
3.992 0.000 3.102 Sc
8.575 0.000 3.102 Sc
8.585 0.000 9.329 Sc
6.283 -4.009 3.198 Sc
0.000 0.000 4.857 Fe
0.000 0.000 7.588 Fe
3.142 3.153 0.062 Fe
3.142 3.153 6.230 Fe
+++
Information taken from NHSBT website.
Ensuring that we are on the NHS Organ Donor Register and that our relatives know our wishes in advance will help to relieve our loved ones of anxiety if the opportunity to donate arises, because:
Giving organs is the most generous act of self-giving imaginable.